Sales training plays a major role in contributing to the growth of small businesses. It is believed that a proper and quality sales training could directly reflect on the profit of an organization, increasing productivity.
A quality sales training could also improve their product knowledge followed by selling skills.
Crystal structures from another source follow:
- - -
#P
SrCaTiMnO6, optimized geometry, DFT PBE+U; space group = Cm, No. 8; M_tot = 0.3017 μB per atom
1.0
-5.8298 0.3853 -5.0939
4.9059 -1.7343 -5.7452
-1.4251 -7.5435 1.0602
Sr Ca Ti Mn O
4 4 4 4 24
direct
0.7532 0.2464 0.2466 Sr
0.2467 0.2467 0.2465 Sr
0.2464 0.7532 0.2466 Sr
0.7536 0.7536 0.7536 Sr
0.7544 0.2460 0.7540 Ca
0.2456 0.2456 0.7540 Ca
0.7541 0.7541 0.2461 Ca
0.2460 0.7544 0.7540 Ca
0.5000 0.0000 0.5028 Ti
0.5001 0.5001 0.9983 Ti
0.0000 0.5000 0.5028 Ti
0.5000 0.5000 0.5015 Ti
0.9999 0.9999 0.9989 Mn
0.5000 0.0000 0.9991 Mn
0.0000 0.0000 0.5018 Mn
0.0000 0.5000 0.9991 Mn
0.0000 0.2504 0.9932 O
0.5000 0.2469 0.9953 O
0.0000 0.2469 0.5046 O
0.5000 0.2492 0.5038 O
0.0001 0.7497 0.9992 O
0.4999 0.7531 0.9988 O
0.0001 0.7531 0.5011 O
0.4999 0.7508 0.5012 O
0.9970 0.9970 0.2503 O
0.5018 0.9982 0.2470 O
0.0029 0.0029 0.7496 O
0.4984 0.0017 0.7532 O
0.9982 0.5018 0.2470 O
0.5013 0.5013 0.2490 O
0.0017 0.4984 0.7532 O
0.4988 0.4988 0.7507 O
0.7497 0.0001 0.9992 O
0.2504 0.0000 0.9932 O
0.7531 0.0001 0.5011 O
0.2469 0.0000 0.5046 O
0.7531 0.4999 0.9988 O
0.2469 0.5000 0.9953 O
0.7508 0.4999 0.5012 O
0.2492 0.5000 0.5038 O

#Q
SrCaTiMnO6, optimized geometry, DFT PBE+U; space group = P2_1, No. 4; M_tot = 0.0000 μB per atom
1.0
0.0000 -5.4539 0.0000
-5.4682 0.0000 0.0028
0.0027 0.0000 -7.7036
Sr Ca Ti Mn O
2 2 2 2 12
direct
0.9878 0.5037 0.7495 Sr
0.4878 0.9963 0.7505 Sr
0.0185 0.4971 0.2503 Ca
0.5185 0.0029 0.2497 Ca
0.5001 0.5019 0.0049 Ti
0.0001 0.9981 0.4950 Ti
0.0000 0.9988 0.0039 Mn
0.5000 0.5010 0.4960 Mn
0.5019 0.4553 0.7472 O
0.0019 0.0448 0.7528 O
0.4911 0.5629 0.2528 O
0.9911 0.9371 0.2473 O
0.2283 0.7335 0.9793 O
0.7283 0.7665 0.5207 O
0.7672 0.2733 0.4646 O
0.2672 0.2267 0.0354 O
0.7717 0.2662 0.0359 O
0.2717 0.2339 0.4641 O
0.2334 0.7290 0.5205 O
0.7334 0.7710 0.9795 O

#R
SrCaTiMnO6, optimized geometry, DFT PBE+U; M_tot = 0.0000 μB per atom
1.0
-2.7348 -2.7350 -3.8678
-2.6912 8.1903 -3.8883
8.1866 -2.6914 -3.8860
Sr Ca Ti Mn O
4 4 4 4 24
direct
0.5000 0.6236 0.3721 Sr
0.9999 0.8783 0.6259 Sr
0.5000 0.1236 0.8722 Sr
0.0000 0.3783 0.1258 Sr
0.5000 0.8754 0.1316 Ca
0.0000 0.1189 0.3741 Ca
0.4999 0.3754 0.6317 Ca
0.0000 0.6189 0.8742 Ca
0.0000 0.9948 0.0025 Ti
0.5000 0.2477 0.2552 Ti
0.0000 0.4947 0.5025 Ti
0.5000 0.7477 0.7553 Ti
0.0000 0.7500 0.2484 Mn
0.5001 0.0019 0.5002 Mn
0.0000 0.2499 0.7482 Mn
0.4999 0.5019 0.9999 Mn
0.0000 0.6539 0.3976 O
0.4999 0.8520 0.5959 O
0.0000 0.1539 0.8975 O
0.5000 0.3521 0.0958 O
0.0000 0.8384 0.0915 O
0.5000 0.1584 0.4118 O
0.0003 0.3383 0.5914 O
0.5002 0.6585 0.9119 O
0.2497 0.8869 0.8614 O
0.7500 0.1066 0.1423 O
0.2496 0.3870 0.3614 O
0.7501 0.6066 0.6423 O
0.2500 0.1066 0.1423 O
0.7504 0.3870 0.3614 O
0.2501 0.6062 0.6428 O
0.7502 0.8869 0.8614 O
0.2503 0.6112 0.1402 O
0.7502 0.8988 0.3526 O
0.2504 0.1111 0.6402 O
0.7502 0.3988 0.8527 O
0.2498 0.8988 0.3527 O
0.7495 0.1112 0.6403 O
0.2497 0.3988 0.8527 O
0.7496 0.6111 0.1402 O

#Q comes first in stability; the runner-up is 0.016 eV/atom higher.
- - -
End of the crystal structures:
If you have ever heard of sales consulting training businesses, establishing and running one could be a profitable business idea in the recent time. Through your sales consulting training business, you could focus on the sales team on customers along with the several issues they face at a regular interval.
Also, you need to be sure of how your services are going to eliminate their issues completely, generating your brand image among your customers.
Sales Consulting Training Biz: The Need for Hour
With the increasing competition happening in the corporate industry, most companies are including in-house training programs where others are lacking behind in implying that. This is where your sales consulting training business could come in handy.
There are many small businesses that rely heavily on outside training resources that could nurture and enhance the revenue system in their organization, increasing sales and productivity. You could become a great choice for such businesses by offering quality sales training education to the seekers.
Identify the Training Needs
Before investing in the sales consulting business, it’s mandatory to understand your training needs. The best way to deal with this thing is by introducing an induction training program at your venture. Identify what is your customer’s prime issue and then come up with a relevant solution.
For example, if the sales team is underperforming, then you might need sales skills training that could correct the issue. Also, remember that training on new products and markets could help your business grow immensely.
(Crystal structures that have nothing to do with the text)
'''
No. 1
VASP calculation (PBE) on a relaxed structure of LiH12N4.

Geometry as POSCAR:
```
LiH12N4
1.0
7.390 10.087 1.960
-10.406 0.941 7.145
6.313 -10.522 3.105
H N Li
96 32 8
Direct
0.200 0.317 0.778
0.078 0.117 0.300
0.134 0.025 0.245
0.105 0.541 0.092
0.908 0.513 0.449
0.462 0.183 0.383
0.647 0.724 0.894
0.975 0.720 0.109
0.720 0.109 0.975
0.891 0.366 0.611
0.577 0.247 0.353
0.300 0.078 0.117
0.541 0.092 0.105
0.459 0.051 0.563
0.391 0.111 0.866
0.605 0.592 0.041
0.389 0.780 0.755
0.025 0.245 0.134
0.222 0.922 0.538
0.317 0.778 0.200
0.475 0.609 0.220
0.563 0.459 0.051
0.592 0.041 0.605
0.525 0.634 0.745
0.051 0.563 0.459
0.962 0.883 0.683
0.255 0.280 0.889
0.220 0.475 0.609
0.922 0.538 0.222
0.092 0.105 0.541
0.895 0.937 0.987
0.722 0.038 0.422
0.634 0.745 0.525
0.606 0.330 0.753
0.987 0.895 0.937
0.224 0.147 0.394
0.183 0.383 0.462
0.276 0.670 0.923
0.923 0.276 0.670
0.578 0.800 0.617
0.889 0.255 0.280
0.830 0.106 0.253
0.109 0.975 0.720
0.866 0.391 0.111
0.422 0.722 0.038
0.753 0.606 0.330
0.778 0.200 0.317
0.949 0.013 0.408
0.280 0.889 0.255
0.853 0.747 0.077
0.253 0.830 0.106
0.330 0.753 0.606
0.063 0.551 0.959
0.170 0.776 0.423
0.449 0.908 0.513
0.776 0.423 0.170
0.041 0.605 0.592
0.038 0.422 0.722
0.111 0.866 0.391
0.617 0.578 0.800
0.394 0.224 0.147
0.683 0.962 0.883
0.487 0.437 0.395
0.894 0.647 0.724
0.538 0.222 0.922
0.611 0.891 0.366
0.700 0.278 0.817
0.513 0.449 0.908
0.937 0.987 0.895
0.724 0.894 0.647
0.383 0.462 0.183
0.747 0.077 0.853
0.551 0.959 0.063
0.013 0.408 0.949
0.366 0.611 0.891
0.437 0.395 0.487
0.670 0.923 0.276
0.755 0.389 0.780
0.745 0.525 0.634
0.117 0.300 0.078
0.077 0.853 0.747
0.780 0.755 0.389
0.247 0.353 0.577
0.106 0.253 0.830
0.883 0.683 0.962
0.423 0.170 0.776
0.800 0.617 0.578
0.278 0.817 0.700
0.395 0.487 0.437
0.147 0.394 0.224
0.959 0.063 0.551
0.817 0.700 0.278
0.408 0.949 0.013
0.353 0.577 0.247
0.609 0.220 0.475
0.245 0.134 0.025
0.818 0.699 0.360
0.318 0.860 0.199
0.640 0.958 0.339
0.000 0.591 0.500
0.360 0.818 0.699
0.381 0.542 0.182
0.161 0.119 0.301
0.119 0.301 0.161
0.682 0.042 0.881
0.182 0.381 0.542
0.409 0.409 0.409
0.199 0.318 0.860
0.542 0.182 0.381
0.339 0.640 0.958
0.619 0.661 0.801
0.801 0.619 0.661
0.699 0.360 0.818
0.839 0.458 0.140
0.091 0.500 0.000
0.500 0.000 0.591
0.140 0.839 0.458
0.661 0.801 0.619
0.301 0.161 0.119
0.591 0.500 0.000
0.000 0.091 0.500
0.860 0.199 0.318
0.881 0.682 0.042
0.458 0.140 0.839
0.909 0.909 0.909
0.042 0.881 0.682
0.500 0.000 0.091
0.958 0.339 0.640
0.500 0.000 0.756
0.000 0.256 0.500
0.500 0.000 0.256
0.244 0.244 0.244
0.256 0.500 0.000
0.744 0.744 0.744
0.000 0.756 0.500
0.756 0.500 0.000
```

Computed properties:
Electronic total energy (eV per atom): -4.803
Energy of formation from the pure elements (meV/atom): -419
E (MP2020) (eV per atom): -4.887

No. 2
VASP calculation (PBE) on a relaxed structure of LiH2N.

Geometry as POSCAR:
```
LiH2N
1.0
3.826 0.000 0.000
0.000 4.707 0.000
0.000 0.000 5.300
H N Li
8 4 4
Direct
0.500 0.500 0.500
'''
Sales Skills
Often, the sales representatives need very good interpersonal and communication skills that play an important part while building relationships with customers and clients. Proper training is required to help them understand their customer’s demand and expectations.
Through your sales consulting training business, you could provide relevant education and training to sales representatives that could enhance and nurture their interpersonal skills. It could help them understand learn about several situations, offering solutions along with finding a way to overcome any objections.